Now start at the top of the listing below and restate each line, ending with the one that has "24.8053".

┌──
{
  "formula": "C18H43BrCl2P2Pb",
  "method": "ωB97M-V/def2-TZVPD",
  "species": ["Pb", "Cl", "P", "C", "C", "C", "C", "H", "C", "H", "H", "H", "H", "H", "H", "H", "C", "C", "H", "H", "H", "H", "H", "H", "C", "H", "C", "H", "H", "H", "H", "H", "H", "Cl", "H", "P", "C", "C", "C", "C", "H", "C", "H", "H", "H", "H", "H", "H", "H", "C", "C", "H", "H", "H", "H", "H", "H", "C", "H", "C", "H", "H", "H", "H", "H", "H", "Br"],
  "positions_angstrom": [[-0.35655, -0.14961, 1.21887], [0.19961, 1.34070, -1.66892], [2.61376, 0.26524, 1.11193], [3.35974, 1.96391, 0.83364], [3.09901, -0.34044, 2.79861], [3.54317, -0.72056, -0.13948], [2.26178, 3.02348, 0.84133], [3.75120, 1.89733, -0.19701], [4.49846, 2.33683, 1.79215], [4.14521, 2.41173, 2.82820], [4.88144, 3.32939, 1.49987], [5.33829, 1.63247, 1.76678], [1.55947, 2.86174, 0.01487], [2.74710, 4.00006, 0.70958], [1.68207, 3.03549, 1.77413], [3.28688, -0.20313, -1.08349], [3.01875, -2.15787, -0.23236], [5.04938, -0.62977, 0.11130], [5.44135, 0.37609, -0.07876], [5.57341, -1.32064, -0.55920], [5.29994, -0.90774, 1.14342], [1.98675, -2.26960, 0.12645], [3.65676, -2.85318, 0.32156], [3.04205, -2.48158, -1.28100], [2.38391, 0.45324, 3.90457], [4.16926, -0.10752, 2.86528], [2.87784, -1.84779, 2.98655], [2.55125, 1.53379, 3.83464], [2.79359, 0.12985, 4.87198], [1.29131, 0.29845, 3.89988], [1.85345, -2.14974, 2.73316], [3.04315, -2.09715, 4.03945], [3.57870, -2.45255, 2.40225], [-0.67519, -2.58780, 2.03592], [0.01622, -0.80300, -0.55102], [-2.33497, 0.12225, -1.45687], [-2.23074, -0.31725, -3.27444], [-3.69489, -1.02662, -0.81559], [-3.08134, 1.85265, -1.48507], [-1.08714, -1.30540, -3.47721], [-1.93368, 0.64486, -3.72230], [-3.50946, -0.81364, -3.95036], [-3.76730, -1.82661, -3.61426], [-3.32422, -0.87317, -5.03493], [-4.37419, -0.15785, -3.80067], [-0.14194, -0.85790, -3.15703], [-1.02486, -1.58002, -4.53621], [-1.24047, -2.22208, -2.89807], [-2.24625, 2.41099, -1.94591], [-3.29388, 2.43225, -0.07811], [-4.33012, 1.98727, -2.36239], [-4.12360, 1.81575, -3.42424], [-4.74307, 3.00754, -2.27416], [-5.11980, 1.29098, -2.04428], [-2.82674, 1.84722, 0.72893], [-4.35959, 2.55605, 0.15173], [-2.85630, 3.43681, -0.02545], [-3.20367, -2.48408, -0.88206], [-4.52917, -0.89182, -1.52261], [-4.20432, -0.70369, 0.59596], [-3.02287, -2.83021, -1.90711], [-3.97838, -3.12781, -0.44733], [-2.29278, -2.61871, -0.28121], [-3.40969, -0.79188, 1.34675], [-4.98058, -1.43305, 0.86352], [-4.64565, 0.29484, 0.66475], [-1.28834, 1.46844, 3.11314]],
  "e_lumo_ev": [-1.44, -2.59],
  "homo_lumo_gap_ev": [6.7, 4.6],
  "max_force_ev_per_a": 2.03,
  "total_charge": 0,
  "total_energy_ev": -138276.189
}

=====

DFT (ωB97M-V with the def2-TZVPD basis set) results for a structure of composition C39H138MnN61O31 at a distorted geometry.

Atoms and positions in Å:
Mn 19.9519 14.0309 17.1237
C 20.1730 18.0273 16.0284
C 19.5073 18.1781 17.3911
C 18.8823 19.6472 17.2554
C 17.9307 19.9047 18.4058
C 16.8321 18.8403 18.5417
C 17.3697 17.3625 18.7229
N 18.3500 17.2005 17.5699
O 18.6303 15.7743 17.1075
C 16.1190 16.4980 18.6671
C 18.1201 17.1239 20.0223
C 20.5339 18.0169 18.5980
H 20.7590 18.9462 16.0102
H 19.4232 18.0012 15.2377
H 20.8382 17.2026 15.7728
H 18.3880 19.8837 16.3132
H 19.7185 20.3319 17.3969
H 17.5123 20.9101 18.3590
H 18.3660 20.0553 19.3937
H 16.1709 18.8514 17.6752
H 16.2242 19.1866 19.3776
H 15.3939 16.5983 19.4747
H 16.2760 15.4438 18.4385
H 15.7105 16.7895 17.6995
H 18.7824 16.2583 20.0109
H 17.4289 16.9500 20.8470
H 18.7354 17.8998 20.4777
H 21.5636 17.9699 18.2434
H 20.7006 17.0314 19.0329
H 20.2572 18.7691 19.3367
C 18.2387 17.2188 24.0108
O 17.3923 17.2476 23.0685
N 19.1767 18.0479 24.1284
N 18.1562 16.2658 24.8321
H 19.8944 17.8316 24.8053
H 19.3789 18.7122 23.3949
H 17.2747 15.7825 24.7346
H 18.5765 16.4391 25.7340
C 14.6460 15.4824 23.5269
O 15.4699 15.1594 24.3843
N 13.4155 15.0842 23.6202
N 14.9110 16.2511 22.5443
H 12.7702 15.2613 22.8637
H 13.4596 14.1966 24.1003
H 15.8032 16.7188 22.6167
└──

{
  "formula": "C18H43BrCl2P2Pb",
  "method": "ωB97M-V/def2-TZVPD",
  "species": ["Pb", "Cl", "P", "C", "C", "C", "C", "H", "C", "H", "H", "H", "H", "H", "H", "H", "C", "C", "H", "H", "H", "H", "H", "H", "C", "H", "C", "H", "H", "H", "H", "H", "H", "Cl", "H", "P", "C", "C", "C", "C", "H", "C", "H", "H", "H", "H", "H", "H", "H", "C", "C", "H", "H", "H", "H", "H", "H", "C", "H", "C", "H", "H", "H", "H", "H", "H", "Br"],
  "positions_angstrom": [[-0.35655, -0.14961, 1.21887], [0.19961, 1.34070, -1.66892], [2.61376, 0.26524, 1.11193], [3.35974, 1.96391, 0.83364], [3.09901, -0.34044, 2.79861], [3.54317, -0.72056, -0.13948], [2.26178, 3.02348, 0.84133], [3.75120, 1.89733, -0.19701], [4.49846, 2.33683, 1.79215], [4.14521, 2.41173, 2.82820], [4.88144, 3.32939, 1.49987], [5.33829, 1.63247, 1.76678], [1.55947, 2.86174, 0.01487], [2.74710, 4.00006, 0.70958], [1.68207, 3.03549, 1.77413], [3.28688, -0.20313, -1.08349], [3.01875, -2.15787, -0.23236], [5.04938, -0.62977, 0.11130], [5.44135, 0.37609, -0.07876], [5.57341, -1.32064, -0.55920], [5.29994, -0.90774, 1.14342], [1.98675, -2.26960, 0.12645], [3.65676, -2.85318, 0.32156], [3.04205, -2.48158, -1.28100], [2.38391, 0.45324, 3.90457], [4.16926, -0.10752, 2.86528], [2.87784, -1.84779, 2.98655], [2.55125, 1.53379, 3.83464], [2.79359, 0.12985, 4.87198], [1.29131, 0.29845, 3.89988], [1.85345, -2.14974, 2.73316], [3.04315, -2.09715, 4.03945], [3.57870, -2.45255, 2.40225], [-0.67519, -2.58780, 2.03592], [0.01622, -0.80300, -0.55102], [-2.33497, 0.12225, -1.45687], [-2.23074, -0.31725, -3.27444], [-3.69489, -1.02662, -0.81559], [-3.08134, 1.85265, -1.48507], [-1.08714, -1.30540, -3.47721], [-1.93368, 0.64486, -3.72230], [-3.50946, -0.81364, -3.95036], [-3.76730, -1.82661, -3.61426], [-3.32422, -0.87317, -5.03493], [-4.37419, -0.15785, -3.80067], [-0.14194, -0.85790, -3.15703], [-1.02486, -1.58002, -4.53621], [-1.24047, -2.22208, -2.89807], [-2.24625, 2.41099, -1.94591], [-3.29388, 2.43225, -0.07811], [-4.33012, 1.98727, -2.36239], [-4.12360, 1.81575, -3.42424], [-4.74307, 3.00754, -2.27416], [-5.11980, 1.29098, -2.04428], [-2.82674, 1.84722, 0.72893], [-4.35959, 2.55605, 0.15173], [-2.85630, 3.43681, -0.02545], [-3.20367, -2.48408, -0.88206], [-4.52917, -0.89182, -1.52261], [-4.20432, -0.70369, 0.59596], [-3.02287, -2.83021, -1.90711], [-3.97838, -3.12781, -0.44733], [-2.29278, -2.61871, -0.28121], [-3.40969, -0.79188, 1.34675], [-4.98058, -1.43305, 0.86352], [-4.64565, 0.29484, 0.66475], [-1.28834, 1.46844, 3.11314]],
  "e_lumo_ev": [-1.44, -2.59],
  "homo_lumo_gap_ev": [6.7, 4.6],
  "max_force_ev_per_a": 2.03,
  "total_charge": 0,
  "total_energy_ev": -138276.189
}

=====

DFT (ωB97M-V with the def2-TZVPD basis set) results for a structure of composition C39H138MnN61O31 at a distorted geometry.

Atoms and positions in Å:
Mn 19.9519 14.0309 17.1237
C 20.1730 18.0273 16.0284
C 19.5073 18.1781 17.3911
C 18.8823 19.6472 17.2554
C 17.9307 19.9047 18.4058
C 16.8321 18.8403 18.5417
C 17.3697 17.3625 18.7229
N 18.3500 17.2005 17.5699
O 18.6303 15.7743 17.1075
C 16.1190 16.4980 18.6671
C 18.1201 17.1239 20.0223
C 20.5339 18.0169 18.5980
H 20.7590 18.9462 16.0102
H 19.4232 18.0012 15.2377
H 20.8382 17.2026 15.7728
H 18.3880 19.8837 16.3132
H 19.7185 20.3319 17.3969
H 17.5123 20.9101 18.3590
H 18.3660 20.0553 19.3937
H 16.1709 18.8514 17.6752
H 16.2242 19.1866 19.3776
H 15.3939 16.5983 19.4747
H 16.2760 15.4438 18.4385
H 15.7105 16.7895 17.6995
H 18.7824 16.2583 20.0109
H 17.4289 16.9500 20.8470
H 18.7354 17.8998 20.4777
H 21.5636 17.9699 18.2434
H 20.7006 17.0314 19.0329
H 20.2572 18.7691 19.3367
C 18.2387 17.2188 24.0108
O 17.3923 17.2476 23.0685
N 19.1767 18.0479 24.1284
N 18.1562 16.2658 24.8321
H 19.8944 17.8316 24.8053